"You're here."
"I'm here."
Carl thought about throwing in a dramatic line like, "You shouldn't have come."—but his corporate employer probably wouldn't get the reference.
So, after a simple greeting, he shut up.
It was the second time meeting this corpo, and unlike their first rushed encounter, Carl now had more time to actually observe her.
During their first meeting, she was wearing makeup, looking quite attractive, but Carl was too distracted by the promise of 100,000 eddies to actually pay attention to her face.
Now, upon closer inspection—
She looked around twenty-three or twenty-four.
Sharp brows, deep-set eyes, short black hair, dark irises.
Her skin tone leaned toward a darker shade, and her facial structure had distinct Southern European features—most likely Spanish or Italian, what people would generally call a Latina face.
Carl wasn't exactly an expert in distinguishing between white folks, but he could at least categorize ethnic traits when he saw them.
Not that it was anything surprising in Night City.
America was already a melting pot, and Night City?
It was the ultimate fusion point of every possible ethnic group on the West Coast.
Hell, seeing a Latina corpo in a black jacket was nothing compared to running into a self-proclaimed Mohican descendant rocking a full traditional warhawk haircut—a style that had actually become mainstream again.
Blanca—because that was probably her name—seemed to be waiting for someone.
Even after Carl arrived, she wasn't in a hurry to leave.
She stood there at the entrance of Wordless Motel, blending in just enough to not attract too much attention.
Without her makeup and a corpo suit, she looked like just another woman in a black jacket—albeit a pretty one.
Carl, on the other hand, stood out a lot more.
His mercenary getup and overall presence made him draw more attention, especially from women passing by.
A few even seemed interested, but the moment they noticed Blanca standing next to him, most of them backed off.
Those who didn't retreat immediately changed their minds once they caught a glimpse of Blanca's cold, piercing gaze.
Carl and Blanca stood there in silence for a while.
Then, as if she was bored—or maybe she just wanted her bodyguard to know what to call her—she finally spoke:
"My name is Blanca. You'll call me that during this job."
A common Spanish name, meaning "white" or "pure".
Carl immediately thought of Blanche of Castile, the French Queen from the 13th century.
But looking at Blanca in her all-black outfit, the meaning of her name felt completely ironic.
"For this job, you just need to focus on protecting me. See nothing, say nothing. You are not involved in the details. Even if you hear something, forget it.
Can you do that?"
Carl nodded silently, playing the role of a quiet, disciplined mercenary.
He wasn't Oliver—he didn't talk that much anyway.
Carl chose to stay silent, but his employer wouldn't shut up.
Her feet shifted restlessly against the pavement, almost like she was trying to calm herself down.
"There should be about ten of them on the other side. If negotiations fail, I'll run my fingers through my hair. When you see that signal, put a bullet in the one I'm talking to and cover my escape. Got it?"
"Got it."
Carl memorized the details instantly.
Ten enemies.Kill target when she gives the signal.Protect NPC (Employer).Payout: 50,000 eddies.
Carl didn't bother asking why a corporate agent like Blanca had to handle negotiations alone or why she needed to hire mercs like him for protection.
That stuff didn't matter.
********
1.
Formula: C16H24N2O4
Source: the OMol25 dataset
Level of theory: ωB97M-V with the def2-TZVPD basis set

```
! wB97M-V def2-TZVPD RIJCOSX def2/J DEFGRID3
* xyz 0 1
O -1.32 -3.05 0.28
O 1.43 -0.78 1.81
O -3.49 -2.76 -0.29
O -0.16 -0.21 -1.27
N -2.18 -1.00 0.41
N -0.89 -0.67 0.82
C -4.18 -0.02 -0.63
C -2.82 1.28 0.86
C 1.67 3.69 -0.24
C 1.67 2.19 -0.55
C 1.63 1.37 0.73
C -4.75 2.27 -0.15
C 3.94 -0.55 0.01
C -5.01 1.08 -0.80
C -3.65 2.37 0.68
C 0.06 -0.37 -0.10
C 2.49 -0.79 -0.39
C 4.89 -1.29 -0.93
C 1.44 -0.15 0.54
C -2.43 -2.31 0.07
C -1.46 -4.43 -0.04
C -3.07 0.08 0.20
H 4.12 -0.91 1.03
H 4.17 0.51 -0.02
H 2.52 3.96 0.37
H -3.44 3.29 1.20
H 4.75 -0.95 -1.95
H -4.38 -0.94 -1.15
H 1.71 4.26 -1.17
H -5.86 0.99 -1.46
H -1.59 -4.56 -1.11
H -0.54 -4.90 0.30
H 0.81 1.95 -1.17
H 2.29 -1.87 -0.39
H -2.32 -4.85 0.48
H 0.79 1.72 1.35
H 2.54 1.54 1.31
H 2.57 1.95 -1.12
H 5.92 -1.11 -0.65
H -0.59 -0.99 1.73
H 0.76 3.97 0.29
H 2.32 -0.71 2.18
H -1.96 1.36 1.51
H 4.70 -2.36 -0.90
H 2.31 -0.42 -1.40
H -5.41 3.12 -0.29
*
```

Calculated values
- total energy (eV) = -28152.0710
- HOMO level (eV) = -8.48
- SMILES = CCCC(O)(CCC)C(=O)NN(C(=O)OC)c1ccccc1
- relative energy (zero: lowest compared OMol25 entry of this formula, charge and spin) (kcal per mole) = 37.1
- HOMO-LUMO gap (eV) = 9.07

Here are the natural (NBO) charges for atoms 1 to 5, given in e:
1. O -0.518
2. O -0.738
3. O -0.623
4. O -0.603
5. N -0.309


2.
Formula: C16H24N2O7
Source: the OMol25 dataset
Level of theory: ωB97M-V with the def2-TZVPD basis set

```
! wB97M-V def2-TZVPD RIJCOSX def2/J DEFGRID3
* xyz 0 1
O 0.28 0.47 2.41
O -3.59 1.50 -2.85
O -0.35 -1.64 1.81
O 3.50 -2.15 -0.93
O 1.24 -2.40 4.20
O 2.99 0.05 1.24
O 2.73 -3.36 2.34
N 1.41 -0.39 -1.11
N 1.51 -1.54 -0.39
C -4.05 3.73 -3.51
C 0.16 1.34 -2.23
C -2.25 1.10 -2.47
C -2.16 -0.15 -1.82
C 0.21 0.08 -1.59
C 2.77 -2.11 0.28
C 2.62 -3.56 0.90
C 0.41 -0.89 2.37
C -0.92 1.14 1.92
C -3.59 2.38 -3.98
C -1.09 1.81 -2.67
C 1.64 -1.39 3.30
C 3.48 -1.27 1.34
C -0.97 -0.71 -1.43
C 2.90 -2.03 2.65
C -1.64 1.83 3.15
H 0.74 -1.74 0.26
H 3.72 -2.01 3.48
H 3.43 -4.22 0.75
H -2.65 2.45 -4.49
H -2.62 1.34 3.28
H -4.49 4.25 -4.33
H -1.15 2.80 -3.15
H -3.03 -0.71 -1.64
H -0.76 1.97 1.25
H -4.15 1.95 -4.79
H -3.31 4.40 -2.99
H -0.93 1.77 4.04
H 1.00 -3.17 3.74
H 2.03 -0.50 3.88
H -1.90 2.88 2.93
H 4.59 -1.29 1.30
H -1.47 0.45 1.35
H 1.55 -3.95 0.76
H 2.07 0.03 0.82
H 2.84 -2.29 -1.59
H 2.29 -0.08 -1.61
H -5.06 3.56 -2.81
H -0.93 -1.67 -0.88
H 0.94 1.94 -2.47
*
```

Calculated values
- total energy (eV) = -34288.6053
- HOMO level (eV) = -7.14
- SMILES = CCOC(=O)[C@@H](O)[C@H]1OC[C@@](O)(NNc2ccc(OCC)cc2)[C@H]1O
- relative energy (zero: lowest compared OMol25 entry of this formula, charge and spin) (kcal per mole) = 126.5
- HOMO-LUMO gap (eV) = 7.83

Here are the natural (NBO) charges for atoms 1 to 5, given in e:
1. O -0.517
2. O -0.508
3. O -0.628
4. O -0.727
5. O -0.691


3.
Formula: C16H24N5O2Pd
Source: the OMol25 dataset
********
Whether she couldn't trust her own people or this was strictly personal and had nothing to do with her company, it made no difference to him.
All Carl cared about was:
How many enemies?Can he kill them?How much does he get paid?
With those three things clear, Carl figured—yeah, he could do this job.
...And, well, one more detail:
Where the hell were these enemies?
Blanca looked at Carl's calm, unbothered expression, as if he wasn't even remotely concerned about ten possible hostiles.
She was about to add a few more instructions when—
A black "Thorton Hera EC-D I360" rolled up in front of them, stopping at the curb.
[Thorton Hera EC-D I360]
The first model in the Hera lineup—so durable, cheap, and easy to repair that its manufacturer, Thorton, nearly went bankrupt because of it.
The corporate board learned a hard lesson from this mistake:
"Yes, quality matters—but not TOO much."
Originally released in 2023, the Hera was outdated as hell in 2075.
But people still loved modding it, and its sturdy build meant you could still see it roaming Night City's streets.
Like Oliver's Thorton Quartz EC-L R275, this was a working-class car—the kind middle-class nobodies and low-tier mercs drove.
Cheap. Reliable. Built to last.
Carl and Blanca watched as the back door opened, revealing an empty seat, like an invitation to get in.
Carl noticed Blanca's breathing shift slightly—a tiny change, but he caught it.
This was their ride.
At least it wasn't a cramped two-seater.
Carl had suffered enough squeezing into Oliver's ride with Jack's massive ass next to him.
Ever since Jack upgraded his cyberware, sitting together had become even more unbearable.
Blanca walked towards the car.
Carl followed immediately, keeping close as they got in.
And the moment he sat down—
The driver turned around.
A bald, chrome-skinned head swiveled toward him, glowing red lights flickering in a grotesque mechanical rhythm.
Carl counted.
Eight fucking cyber-eyes.
He sighed internally.
Of course.
Who else but these lunatics would turn their own faces into full-metal horror shows?
Carl was so goddamn sick of killing these chromed-up psychos.
Couldn't Night City switch things up a little?
Maybe throw in some Tyger Claws or Animals for variety?
The Maelstrom driver finished scanning their identities, then turned back around and started the car.
The Hera rolled off, heading north—straight toward the Watson Industrial Zone.
Right into Maelstrom's main turf.
Carl glanced at Blanca.
Her problems with Maelstrom weren't just about the stolen blackmail material, huh?
Looked like she had more skeletons in that chrome-plated closet.